(Work order)
Could you work out how many lines further down have the word "Calculated" in them; a number is enough?
(Given)
-- begin --
TbRe2: relaxed, PBE.

- DFT formation energy (eV per atom) = -0.196
- symmetry = P6_3/mmc, No. 194
- total DFT energy (no corrections) (eV per cell) = -120.44

Structure (CIF):
```
data_TbRe2
_chemical_formula_sum 'Tb4 Re8'
_symmetry_space_group_name_H-M 'P 1'
_symmetry_Int_Tables_number 1
_cell_length_a 5.4482
_cell_length_b 5.4482
_cell_length_c 8.8589
_cell_angle_alpha 90.00
_cell_angle_beta 90.00
_cell_angle_gamma 120.00
loop_
_symmetry_equiv_pos_as_xyz
'x,y,z'
loop_
_atom_site_label
_atom_site_fract_x
_atom_site_fract_y
_atom_site_fract_z
_atom_site_occupancy
Tb1 0.3333 0.6667 0.0626 1
Tb2 0.3333 0.6667 0.4374 1
Tb3 0.6667 0.3333 0.5626 1
Tb4 0.6667 0.3333 0.9374 1
Re1 0.0000 0.0000 0.0000 1
Re2 0.0000 0.0000 0.5000 1
Re3 0.1714 0.3427 0.7500 1
Re4 0.1714 0.8286 0.7500 1
Re5 0.3427 0.1714 0.2500 1
Re6 0.6573 0.8286 0.7500 1
Re7 0.8286 0.1714 0.2500 1
Re8 0.8286 0.6573 0.2500 1
```

----------

DFT (GGA-PBE) results for LiTbAu2 after structural relaxation.

POSCAR file:
```
LiTbAu2
1.0
0.636 -4.459 -1.878
-2.782 -3.709 1.524
-3.373 -1.901 -2.970
Li Tb Au
1 1 2
Cartesian
-2.759 -5.035 -1.662
0.000 0.000 0.000
-4.139 -7.552 -2.494
-1.380 -2.517 -0.831
```

Calculated values
- mass density (Mg/m³) = 11.311
- ΔH_f (0 K) (eV per atom) = -0.710
- DFT total energy (eV/atom) = -3.98
-- stop --
(Here it is)
1